Why are MedSpa Insurance Premiums on the Rise?
Your “Strategy for Protection” in Times of Uncertainty
As we all continue to experience COVID-19 together and how it has a major impact on our industry, businesses, patients and communities, it certainly shifted all the major insurance providers’ receptiveness to our clients. Rather than connecting with us and our clients about how we may help each other, they have gone into survival mode. Let us help you navigate your way through the turbulence by helping you with your renewal strategy!
What Type of Liability Insurance is Available for MedSpa & Wellness Center Owners & Providers?
The type of insurance you buy for your med spa is referred to as “surplus lines” insurance. This means when your application with standard medical practice coverage insurance companies gets declined or offer terms that will exclude all or part the liability coverage for what you are providing to your patients. Then you default to “surplus lines.”
Surplus lines insurance is a specialized coverage available from certain insurers because of the following reasons:
- MedSpa & Wellness Center business models differ greatly from the traditional medical practices and are unique on to their own, no practice is truly the same and there are hundreds of thousands of striving practices nationwide
- Many procedures such as hormone replacement therapy (HRT) & IV Nutrition are non-FDA approved procedures that are excluded in traditional coverage, however, accepted and covered with a surplus line insurance product
- Non-medically licensed individuals employing or contracting medically licensed individuals requiring complex coverage for the business, the business owner, and the medical practitioner is acceptable in a surplus line product.
What are the DISADVANTAGES and ADVANTAGES of Surplus Lines Products?
Surplus lines insurance is a specialized coverage available from certain insurers not licensed in your state but eligible to do business in your state as a surplus lines carrier. Because they are not licensed in your state, these carriers are not subject to regulation of rate or form, giving them the ability to fit unique situations & circumstances, and charge whatever they want to adjust to the situation. The advantages are financial strength, the flexibility and ability to manuscript, or customize your coverage to adapt. The disadvantage is the vulnerability to rate increases and adding on coverage exclusions.
Why are MedSpa Premiums on the Rise?
Surplus lines insurers that are covering MedSpas are now adjusting their premiums to compensate for the following:
- Compensate for Claim Losses – Medical malpractice cases in general are reportedly up 50% over the past 10 years.
-- Inserted here: materials data --
/*
The following is a calculated powder diffractogram of Ti5Si4H. It was derived from a crystal structure in Alexandria, relaxed with GGA-PBE, using Cu Kα (weighted mean of Kα1 and Kα2).

Top 6 peaks for 2θ from 10° to 90°, most intense first:
d/Å  Position (°2θ)  I (rel.)
2.490  36.08  100
1.773  51.55  58
2.525  35.55  43
2.888  30.96  35
1.760  51.94  32
1.444  64.53  27

Structural model:
```
10
Lattice="-3.936 3.936 2.525 3.936 -3.936 2.525 3.936 3.936 -2.525" Properties=species:S:1:pos:R:3 pbc="T T T"
Ti 0.000 0.000 0.000
Ti 4.743 1.601 0.534
Ti 1.601 3.130 0.534
Ti 2.336 0.806 3.059
Ti -0.806 2.336 3.059
Si 5.520 -0.762 0.523
Si 2.353 0.762 0.523
Si -0.762 2.353 0.523
Si 0.762 5.520 0.523
H 0.000 0.000 3.111
```

***

The following is a calculated powder diffractogram of CdSnHPd4. It was derived from a crystal structure in Alexandria, relaxed with GGA-PBE, using Cu Kα (weighted mean of Kα1 and Kα2).

Top 6 peaks for 2θ from 10° to 90°, most intense first:
d/Å  Position (°2θ)  I (rel.)
2.185  41.33  100
2.608  34.38  75
1.991  45.56  55
1.508  61.50  35
2.309  39.01  34
1.183  81.30  27

Structural model:
```
14
Lattice="2.816 -6.926 0.000 2.816 6.926 0.000 0.000 0.000 5.631" Properties=species:S:1:pos:R:3 pbc="T T T"
Cd 2.816 5.547 4.223
Cd 2.816 -5.547 1.408
Sn 2.816 1.466 4.223
Sn 2.816 -1.466 1.408
H 2.816 3.571 1.408
H 2.816 -3.571 4.223
Pd 1.408 3.463 0.000
Pd 1.408 3.463 2.816
Pd 2.816 5.597 1.408
Pd 2.816 1.177 1.408
Pd 1.408 -3.463 0.000
Pd 1.408 -3.463 2.816
Pd 2.816 -1.177 4.223
Pd 2.816 -5.597 4.223
```

***

The following is a calculated powder diffractogram of Ac2La12Pr5. It was derived from a crystal structure in Alexandria, relaxed with GGA-PBE, using Cu Kα (weighted mean of Kα1 and Kα2).

Top 6 peaks for 2θ from 10° to 90°, most intense first:
d/Å  Position (°2θ)  I (rel.)
2.927  30.54  100
3.012  29.66  54
2.831  31.61  51
3.408  26.15  25
3.046  29.32  24
3.110  28.70  20

Structural model:
```
19
Lattice="9.445 -6.023 0.000 9.445 6.023 0.000 -1.513 0.000 6.273" Properties=species:S:1:pos:R:3 pbc="T T T"
Ac 9.445 3.368 0.000
Ac 9.445 -3.368 0.000
La 4.447 2.898 4.996
La 0.938 0.000 6.176
La 6.865 2.959 2.450
La 10.511 2.959 3.823
La 7.306 0.000 4.550
La 12.930 2.898 1.277
La 4.447 -2.898 4.996
La 10.070 0.000 1.722
La 6.865 -2.959 2.450
La 10.511 -2.959 3.823
La 16.438 0.000 0.097
La 12.930 -2.898 1.277
Pr -0.756 0.000 3.136
Pr 3.191 0.000 3.386
Pr 5.907 0.000 0.944
Pr 11.470 0.000 5.328
Pr 14.185 0.000 2.887
```
*/
- Rising “Social Inflation Cost” – Defined by a combination of a variety of unforeseen events like COVID 19, riots, business interruption.
- Other Associated Risks – New products, new procedures, increase in virtual practices, less restrictions now for non-physician healthcare providers, etc.
- Property and casualty rates – They rise and fall in a market driven cycle and surplus lines insurance is becoming more expensive due to all these factors that are not within our direct control.
During this time of uncertainty, what can I do for my business?
It’s time to work with your insurance agent to develop a long term “renewal strategy” and learn how the hard market industry challenges are impacting you.
If you have an existing policy and just received your renewal quote and there is an increase, don’t assume it’s just your carrier.
The rising increase in market prices is causing a flood of submissions into underwriting. Their priority is their existing clients and first-time coverage, so the likelihood you can get a quick alternative quote from another agent in a tight time frame is minimal.
First Time Insurance Policy Buyer:
If you don’t have an existing policy, and applying for the first time, your agent or broker will send your application to ALL the available markets who write coverage for what you do. This means you get the best deal for the prevailing conditions to start with. In many cases, you may only get 2-3 quotes. This improves over time as you become a known quantity and markets are more inclined to be aggressive on known risks then start-ups. If you are interested in learning more, schedule a free consultation with a specialized WMPG agent today.
Policy “Tips & Tricks of the trade” to help you NAVIGATE:
- Property and Casualty premiums historically go up and down in a cycle. Realize that you are in the upward pricing cycle for the next 18-24 months as the cycle rebounds.
- Work through the cycle and realize there are only a handful of “surplus lines” companies who will cover what you do.
- Work with your existing agent to have a renewal strategy. Its always better to stay with one market through the ups and downs, as opposed to shopping it and moving it every year. Over the long run, it will average out and sticking with one carrier builds loyalty when it comes to handling a claim.
- Understand the nature of the “claims-made” type of policy and the “step rate” pricing. As your agent to explain this to you in detail.
- Agents can provide “premium financing” that would help spread out the payments, typically 20% down and 10 monthly payments at APR’s @ 10%.
We know these are very difficult times and we are in this together. At WMPG, it’s business as “unusual”. If you have any questions, we are here for you. Contact us by phone, email, or schedule a consult.
Author: Ed Kuhn, Co-founder & Licensed Agent